Page 45 of Queen's Crusade
I had to huff out a laugh at that one, though it also gave me an uneasy twinge. I didn’t like the thought of anyone dictating any queen had to claim a Blood from their house. Marne Ceresa had tried that trick with me, and while I’d gained Okeanos and wouldn’t change a thing, the thought of taking one of her personal Blood made me want to hurl.
I hadn’t been raised in a court, and Aima customs were foreign to me. Mayte agreed, and she was Xochitl’s mother. Besides, unless House Vitória had a unicorn, I didn’t see the little girl being too pleased with any of them.
I picked up my coffee cup while I scanned the rest of the page.
House Vitória retains their nest in São Paulo, including one-hundred acres and a one-hundred-thousand-square-foot mansion, and all peoples living within.
Followed by detailed accounting of how many humans and Aima siblings lived under the House Vitória umbrella. Nearly triple Zaniyah’s, from what I remembered, and their nest seemed to be much more lavish than the simple yet comfortable manor house where Mayte had grown up. Plus several other properties listed in South and Central America. On paper, House Vitória appeared to be the larger, wealthier house. Queen Jacinta might not be very powerful, but if she commanded such a large base, she had to be at least as powerful as Mayte.
Then I read the last line and promptly choked, spitting a mouthful of coffee back into the cup.
House Vitória will pay House Zaniyah one hundred thousand United States dollars and House Isador one million United States dollars annually until this contract is terminated and recorded as null and void in the Triune archive. Advance sums are already paid in full and non-refundable if House Isador refuses the contract.
“It’s quite a triumphant coup for Zaniyah,” Gina said. “And of course, Isador.”
“Wait, wait, wait. Didn’t we agree to pay out House Skye’s sibling contracts when they left? They didn’t pay Keisha. It was the other way around.”
“They’re the ones asking to be your sibling. They want your protection.”
My mouth sagged open, and I sat back in the chair more than a little stunned. “That’s like highway robbery, isn’t it?”
Shrugging, Gina flashed a smug grin. “It’s the sum they’re willing to pay, and quite honestly, we could easily ask for more. Vitória can afford it.”
“But that’s crazy! A million dollars a year? It’s like vampire mafia shit.”
“More like Triune mafia shit.” She laughed and offered me a heavy gold pen. “It’s a very good offer, but it’s entirely up to you.”
I took the pen but didn’t press the tip to paper yet. “Are there any downsides to taking them on?”
Her eyebrows raised and she breathed deeply, staring off into space. I loved that she didn’t immediately give me a careless platitude for an answer. When she met my gaze, she gave a little nod. “The only downside I can think of is drawing the attention of the rest of the Triune. If M?—”
Her eyes flared and she quickly changed her wording to avoid saying Marne Ceresa out loud since Okeanos’ warning. “If the queen of Rome is worried about how quickly Isador is gaining allies, this agreement could draw unfavorable attention to you. Vitória is a very rich house, but they’ve had few dealings with the Triune in the past. Queen Jacinta isn’t well known or extremely powerful as far as I’m aware of. I can’t even say what her powers are known to be.”
Nodding, I signed the contract page with a flourish. “It sounds like a good deal for Xochitl especially.”
“It’s a very good deal for her. Our little unicorn princess is gaining quite the entourage even though she’s only four.”
She pulled out the next folder with a wry smile more of a grimace. “This is everything I was able to pull together about the Dauphine.”
It was one fucking page.
“Historically, the Dauphin was the heir apparent to the throne of France, beginning back in Sir Guillaume’s time. The Dauphine was the title given to the heir’s wife. Before that, Dauphiné of Viennois was a province in southeastern France. According to the human historical record, it was ruled by a man with a dolphin in his crest, which is how the province and title came to be. Of course the records fail to recognize that he gained this land and the title from his mother, Matilda, who just so happened to be the great-granddaughter of Jeanne Viennois, the Dauphine.”
I nodded, remembering the crow queen’s letter. Guillaume had immediately recognized the blue and red fish crest on the page as the Dauphine’s symbol.
“Little else is known about Jeanne, unfortunately. Even then, she preferred obscurity, which makes sense given her bloodline from Despoina, who was worshiped by the Eleusinian Mysteries. Honestly, Jeanne Viennois may not be her true name either, though House Viennois, or House Dauphine as it’s more widely known as now, is formally recorded with the Triune. We don’t even know how old she is, though she’s old enough to have a living queen granddaughter who’s over five hundred years old. She doesn’t have any siblings recorded in the archive, not directly to House Viennois, at least.”
**Data records that have nothing to do with the article:**
-- begin --
A plane-wave DFT calculation with PBE+U was carried out for a geometry-optimized MgMn2V2O8 structure.

a = 5.364 Å, b = 5.364 Å, c = 6.540 Å
α = 92.87°, β = 92.87°, γ = 66.35°
Sites, in units of the cell vectors:
1 O 0.232 0.696 0.242
2 O 0.233 0.233 0.500
3 Mn 0.000 0.000 0.000
4 O 0.768 0.304 0.758
5 Mn 0.000 0.000 0.500
6 O 0.769 0.769 0.934
7 O 0.696 0.232 0.242
8 V 0.336 0.336 0.293
9 O 0.767 0.767 0.500
10 O 0.231 0.231 0.066
11 O 0.304 0.768 0.758
12 V 0.664 0.664 0.707
13 Mg 0.500 0.500 0.000

Summary:
Its energy relative to the elements is -28.84 eV per formula unit. The excess energy over the best structure of this formula in the dataset comes out at 0.169 eV per atom. Its volume is 172.1 Å³ per cell. As for the total DFT energy (no corrections): -7.2523 eV/atom.


[1]
TiAl2 | GGA-PBE | optimized geometry

Unit cell a=3.9689 b=3.9689 c=12.4622 alpha=99.16 beta=99.16 gamma=90.00
Atoms (fractional coordinates):
1 Ti 0.1722 0.6722 0.3444
2 Ti 0.3278 0.8278 0.6556
3 Ti 0.0778 0.0778 0.1556
4 Ti 0.9222 0.9222 0.8444
5 Al 0.8366 0.3366 0.6732
6 Al 0.4134 0.4134 0.8268
7 Al 0.5002 0.0002 0.0005
8 Al 0.6634 0.1634 0.3268
9 Al 0.7498 0.7498 0.4995
10 Al 0.2502 0.2502 0.5005
11 Al 0.9998 0.4998 0.9995
12 Al 0.5866 0.5866 0.1732

[2]
La2ZnHg | GGA-PBE | optimized geometry

**Energy relative to the lowest polymorph listed for this composition**: 0 meV/atom

Unit cell a=5.4442 b=5.4442 c=5.4442 alpha=60.00 beta=60.00 gamma=60.00
Atoms (fractional coordinates):
1 Zn 0.0000 0.0000 0.0000
2 La 0.7500 0.7500 0.7500
3 La 0.2500 0.2500 0.2500
4 Hg 0.5000 0.5000 0.5000

[3]
Mg14ZrMo | GGA-PBE | optimized geometry

**Energy relative to the lowest polymorph listed for this composition**: 0 meV/atom
**Total magnetization**: 0.0 μB/f.u.

Unit cell a=6.3843 b=6.1482 c=10.1365 alpha=90.00 beta=90.00 gamma=118.78
Atoms (fractional coordinates):
1 Mg 0.8417 0.1709 0.3769
2 Mg 0.8504 0.6752 0.8870
3 Mg 0.1667 0.3334 0.6250
4 Mg 0.6586 0.8330 0.1250
5 Mg 0.6586 0.3256 0.1250
6 Mg 0.8417 0.1709 0.8731
7 Mg 0.3311 0.6717 0.8819
8 Mg 0.3311 0.6717 0.3681
9 Mg 0.1635 0.8318 0.6250
10 Mg 0.6638 0.3337 0.6250
11 Mg 0.8504 0.6752 0.3630
12 Mg 0.6638 0.8301 0.6250
13 Mg 0.3311 0.1594 0.8819
14 Mg 0.3311 0.1594 0.3681
15 Zr 0.1581 0.3290 0.1250
16 Mo 0.1582 0.8291 0.1250

[4]
Sm2B4O9 | GGA-PBE | optimized geometry

**Energy relative to the lowest polymorph listed for this composition**: 15 meV/atom
**Total magnetization**: 0.0 μB/f.u.

Unit cell a=4.4844 b=13.0481 c=25.1604 alpha=99.73 beta=90.02 gamma=99.89
Atoms (fractional coordinates):
1 O 0.6196 0.8083 0.7532
2 O 0.1529 0.2861 0.3637
3 O 0.3032 0.2599 0.6085
4 O 0.6281 0.8707 0.6692
5 O 0.6582 0.4480 0.4867
6 O 0.1816 0.4252 0.8138
7 O 0.6830 0.1270 0.4778
8 O 0.1910 0.8096 0.2544
9 O 0.3736 0.1303 0.3304
10 O 0.6919 0.4617 0.2570
11 O 0.5547 0.8733 0.0221
12 O 0.9728 0.2366 0.1994
13 O 0.0295 0.7639 0.8002
14 O 0.7120 0.0403 0.0846
15 O 0.2775 0.6051 0.1332
16 O 0.2218 0.7268 0.3347
17 O 0.7522 0.1304 0.8305
-- stop --
Rosalind Valois, the queen of Paris, was Jeanne’s granddaughter, who had both a romantic and strategic alliance with Keisha Skye. When I killed Keisha and took over Skye Tower, Rosalind had so kindly offered to take House Skye—and me—under her wing. No fucking chance, thank you very much.
House Valois had numerous siblings listed, including House Delafosse in New Orleans. Which we knew now to be one of the Dauphine’s secret identities.
“Let’s check out each of these other siblings listed for House Valois and see if they’re legit. I’m especially interested in any that might be in Quebec. The Dauphine was writing someone there about me when we were in Kansas City, but I didn’t see the name. Maybe she went north to Canada after leaving New Orleans.”
By the glint of excitement in her eyes, Gina was thinking the same thing. “Some of these names I recognize immediately as having other business before the Triune, but many are obscure. They could be fronts for her to hide in plain sight again. I’ll get Kevin started on them immediately.”
We worked through paperwork for another couple of hours through late afternoon into the evening, mostly contract amendments that Gwen and Kevin had worked up for the siblings in Isador Tower. Then there was a final listing of all the properties I’d inherited from House Skye, including an entire island off the coast of Scotland near the Isle of Skye.
Winston brought a fresh tray of chocolate chip cookies to the table and paused beside the table, waiting until Gina paused. “Your Majesty?—”